-- Assignment --
Copy the data underneath word for word.

-- File --
-- begin --
ORCA calculation (ωB97M-V/def2-TZVPD) on an isolated molecule of C2H5NS3 at a distorted geometry.

Cartesian coordinates (Å):
S 2.476 -1.193 -0.186
S 1.301 1.822 0.032
S -2.083 -0.686 -0.024
N 0.837 -0.726 0.000
C -1.106 0.730 -0.427
C 0.386 0.491 -0.159
H -1.319 1.575 0.206
H -1.102 1.018 -1.456
H 0.200 -1.456 -0.310
H -2.455 -0.516 1.239
H 2.865 -1.058 1.084

Output
- SMILES = S=C(CS)NS
- orbital gap (eV) = 8.775
- ΔE to the lowest compared entry with this formula, charge and spin (kcal/mol) = 7.6
- multiplicity = 1
- highest occupied orbital energy (eV) = -8.31

***

ORCA calculation (ωB97M-V/def2-TZVPD) on a 2-piece molecular cluster, C5H17N2O overall at a distorted geometry.

Cartesian coordinates (Å):
O -2.794 1.141 1.309
N 0.943 -0.787 0.660
N 1.346 1.159 -1.168
C 0.690 -0.887 2.142
C 1.412 -2.103 0.119
C 0.090 0.376 -1.369
C -0.263 -0.254 -0.026
C -1.075 1.229 -1.875
H 1.655 -0.044 0.536
H 2.164 -2.498 0.789
H -0.703 1.934 -2.617
H -1.868 0.621 -2.307
H -2.428 1.804 1.896
H 1.820 -1.855 -0.868
H 1.887 1.158 -2.038
H 0.317 -0.363 -2.138
H -0.969 -1.072 -0.193
H -1.506 1.817 -1.063
H 1.563 -1.343 2.602
H -0.721 0.469 0.641
H -0.216 -1.476 2.269
H -3.696 1.446 1.248
H 1.122 2.148 -1.089
H 0.674 0.137 2.540
H 0.555 -2.757 0.000

Output
- orbital gap (alpha / beta) (eV) = 2.998 / 10.914
- ΔE to the lowest compared entry with this formula, charge and spin (kcal/mol) = 37.8
- multiplicity = 2
- highest occupied orbital energy (alpha / beta) (eV) = -2.22 / -10.24

***

ORCA calculation (ωB97M-V/def2-TZVPD) on C21H26AsF6N5NiSi as an isolated structure.

Cartesian coordinates (Å):
As 0.316 -2.547 2.695
Ni -0.080 -0.040 0.008
Si -3.155 -1.355 -0.635
F -0.541 -3.910 2.110
F 1.778 -3.131 1.973
F -0.026 -1.787 1.033
F 1.139 -1.053 3.043
F 0.653 -3.211 4.215
F -1.160 -1.803 3.195
N -1.959 -0.060 -0.185
N 4.022 4.455 -1.308
N 1.822 0.505 0.188
N 0.370 -0.987 -1.680
N -0.909 0.994 1.430
C 1.184 -0.179 -2.563
C -2.308 -2.629 -1.701
C 0.651 1.860 3.114
C 1.420 1.805 -3.884
C 3.308 0.363 -3.520
C 3.474 2.147 -0.287
C 4.098 0.077 0.725
C -1.855 2.000 3.317
C 3.780 3.433 -0.844
C -3.787 -2.181 0.906
C 2.519 -0.491 -2.762
C 0.624 0.961 -3.122
C -2.136 0.653 0.980
C -3.122 1.699 2.851
C 2.161 1.708 -0.281
C 4.465 1.315 0.233
C -4.467 -0.453 -1.601
C -0.724 1.607 2.596
C 2.767 -0.304 0.680
C -3.289 0.989 1.671
C 2.763 1.513 -4.074
H 3.383 2.178 -4.661
H -3.030 -3.440 -1.833
H -2.990 -2.319 1.641
H -5.170 -1.173 -2.027
H 2.942 -1.390 -2.328
H 0.834 1.206 3.968
H 0.842 -1.854 -1.427
H 2.447 -1.270 1.047
H -1.439 -3.075 -1.212
H -4.035 0.120 -2.423
H -1.724 2.545 4.241
H -4.163 -3.173 0.644
H -5.041 0.233 -0.977
H -4.265 0.706 1.306
H -0.505 -1.246 -2.126
H 5.496 1.641 0.243
H 1.408 1.648 2.368
H 0.989 2.693 -4.325
H -2.054 -2.295 -2.711
H 4.350 0.123 -3.683
H 1.372 2.334 -0.675
H -3.989 2.005 3.422
H -0.425 1.187 -2.960
H -4.604 -1.639 1.382
H 0.746 2.893 3.448
H 4.828 -0.602 1.141

Output
- charge = +1
- orbital gap (alpha / beta) (eV) = 6.709 / 6.204
- multiplicity = 2
- highest occupied orbital energy (alpha / beta) (eV) = -11.96 / -11.83

***

ORCA calculation (ωB97M-V/def2-TZVPD) on C6H9N as an isolated structure at a distorted geometry.

Cartesian coordinates (Å):
N 0.916 0.131 0.109
C -0.176 0.044 -0.813
C -1.413 0.795 -0.265
C 0.400 -0.884 0.882
C -1.934 -0.500 0.398
C -0.618 -1.170 0.019
C 2.278 0.339 -0.201
H -1.137 1.605 0.421
H -2.300 -0.455 1.430
H 2.741 0.484 0.766
H -2.078 1.203 -1.024
H 2.653 -0.590 -0.621
H 0.045 0.057 -1.881
H 2.550 1.184 -0.844
H -2.584 -1.043 -0.265
H 0.658 -1.200 1.889

Output
- orbital gap (eV) = 8.888
- ΔE to the lowest compared entry with this formula, charge and spin (kcal/mol) = 102.6
- multiplicity = 1
- highest occupied orbital energy (eV) = -7.87

***

ORCA calculation (ωB97M-V/def2-TZVPD) on an isolated molecule of C3H4N2OS at a distorted geometry.

Cartesian coordinates (Å):
S 0.134 1.349 2.906
O -0.186 0.586 0.384
N 0.361 -1.058 1.655
N 0.336 -1.503 0.332
C -0.240 -0.372 -1.860
-- stop --

-- Reply --
ORCA calculation (ωB97M-V/def2-TZVPD) on an isolated molecule of C2H5NS3 at a distorted geometry.

Cartesian coordinates (Å):
S 2.476 -1.193 -0.186
S 1.301 1.822 0.032
S -2.083 -0.686 -0.024
N 0.837 -0.726 0.000
C -1.106 0.730 -0.427
C 0.386 0.491 -0.159
H -1.319 1.575 0.206
H -1.102 1.018 -1.456
H 0.200 -1.456 -0.310
H -2.455 -0.516 1.239
H 2.865 -1.058 1.084

Output
- SMILES = S=C(CS)NS
- orbital gap (eV) = 8.775
- ΔE to the lowest compared entry with this formula, charge and spin (kcal/mol) = 7.6
- multiplicity = 1
- highest occupied orbital energy (eV) = -8.31

***

ORCA calculation (ωB97M-V/def2-TZVPD) on a 2-piece molecular cluster, C5H17N2O overall at a distorted geometry.

Cartesian coordinates (Å):
O -2.794 1.141 1.309
N 0.943 -0.787 0.660
N 1.346 1.159 -1.168
C 0.690 -0.887 2.142
C 1.412 -2.103 0.119
C 0.090 0.376 -1.369
C -0.263 -0.254 -0.026
C -1.075 1.229 -1.875
H 1.655 -0.044 0.536
H 2.164 -2.498 0.789
H -0.703 1.934 -2.617
H -1.868 0.621 -2.307
H -2.428 1.804 1.896
H 1.820 -1.855 -0.868
H 1.887 1.158 -2.038
H 0.317 -0.363 -2.138
H -0.969 -1.072 -0.193
H -1.506 1.817 -1.063
H 1.563 -1.343 2.602
H -0.721 0.469 0.641
H -0.216 -1.476 2.269
H -3.696 1.446 1.248
H 1.122 2.148 -1.089
H 0.674 0.137 2.540
H 0.555 -2.757 0.000

Output
- orbital gap (alpha / beta) (eV) = 2.998 / 10.914
- ΔE to the lowest compared entry with this formula, charge and spin (kcal/mol) = 37.8
- multiplicity = 2
- highest occupied orbital energy (alpha / beta) (eV) = -2.22 / -10.24

***

ORCA calculation (ωB97M-V/def2-TZVPD) on C21H26AsF6N5NiSi as an isolated structure.

Cartesian coordinates (Å):
As 0.316 -2.547 2.695
Ni -0.080 -0.040 0.008
Si -3.155 -1.355 -0.635
F -0.541 -3.910 2.110
F 1.778 -3.131 1.973
F -0.026 -1.787 1.033
F 1.139 -1.053 3.043
F 0.653 -3.211 4.215
F -1.160 -1.803 3.195
N -1.959 -0.060 -0.185
N 4.022 4.455 -1.308
N 1.822 0.505 0.188
N 0.370 -0.987 -1.680
N -0.909 0.994 1.430
C 1.184 -0.179 -2.563
C -2.308 -2.629 -1.701
C 0.651 1.860 3.114
C 1.420 1.805 -3.884
C 3.308 0.363 -3.520
C 3.474 2.147 -0.287
C 4.098 0.077 0.725
C -1.855 2.000 3.317
C 3.780 3.433 -0.844
C -3.787 -2.181 0.906
C 2.519 -0.491 -2.762
C 0.624 0.961 -3.122
C -2.136 0.653 0.980
C -3.122 1.699 2.851
C 2.161 1.708 -0.281
C 4.465 1.315 0.233
C -4.467 -0.453 -1.601
C -0.724 1.607 2.596
C 2.767 -0.304 0.680
C -3.289 0.989 1.671
C 2.763 1.513 -4.074
H 3.383 2.178 -4.661
H -3.030 -3.440 -1.833
H -2.990 -2.319 1.641
H -5.170 -1.173 -2.027
H 2.942 -1.390 -2.328
H 0.834 1.206 3.968
H 0.842 -1.854 -1.427
H 2.447 -1.270 1.047
H -1.439 -3.075 -1.212
H -4.035 0.120 -2.423
H -1.724 2.545 4.241
H -4.163 -3.173 0.644
H -5.041 0.233 -0.977
H -4.265 0.706 1.306
H -0.505 -1.246 -2.126
H 5.496 1.641 0.243
H 1.408 1.648 2.368
H 0.989 2.693 -4.325
H -2.054 -2.295 -2.711
H 4.350 0.123 -3.683
H 1.372 2.334 -0.675
H -3.989 2.005 3.422
H -0.425 1.187 -2.960
H -4.604 -1.639 1.382
H 0.746 2.893 3.448
H 4.828 -0.602 1.141

Output
- charge = +1
- orbital gap (alpha / beta) (eV) = 6.709 / 6.204
- multiplicity = 2
- highest occupied orbital energy (alpha / beta) (eV) = -11.96 / -11.83

***

ORCA calculation (ωB97M-V/def2-TZVPD) on C6H9N as an isolated structure at a distorted geometry.

Cartesian coordinates (Å):
N 0.916 0.131 0.109
C -0.176 0.044 -0.813
C -1.413 0.795 -0.265
C 0.400 -0.884 0.882
C -1.934 -0.500 0.398
C -0.618 -1.170 0.019
C 2.278 0.339 -0.201
H -1.137 1.605 0.421
H -2.300 -0.455 1.430
H 2.741 0.484 0.766
H -2.078 1.203 -1.024
H 2.653 -0.590 -0.621
H 0.045 0.057 -1.881
H 2.550 1.184 -0.844
H -2.584 -1.043 -0.265
H 0.658 -1.200 1.889

Output
- orbital gap (eV) = 8.888
- ΔE to the lowest compared entry with this formula, charge and spin (kcal/mol) = 102.6
- multiplicity = 1
- highest occupied orbital energy (eV) = -7.87

***

ORCA calculation (ωB97M-V/def2-TZVPD) on an isolated molecule of C3H4N2OS at a distorted geometry.

Cartesian coordinates (Å):
S 0.134 1.349 2.906
O -0.186 0.586 0.384
N 0.361 -1.058 1.655
N 0.336 -1.503 0.332
C -0.240 -0.372 -1.860